Now transcribe all of the data underneath character by character.

........
Entry from Alexandria via LeMat-Bulk: a geometry-optimized Li6Ca12Mo4N16O3 structure (PBE with a Hubbard U).

```
Li6Ca12Mo4N16O3
1.0
-6.5639 6.5639 6.5639
6.5639 -6.5639 6.5639
6.5639 6.5639 -6.5639
Li Ca Mo N O
12 24 8 32 6
Direct
0.0250 0.2750 0.7500
0.2250 0.2500 0.4750
0.2500 0.4750 0.2250
0.2500 0.7750 0.5250
0.2750 0.7500 0.0250
0.4750 0.2250 0.2500
0.5250 0.2500 0.7750
0.7250 0.9750 0.7500
0.7500 0.0250 0.2750
0.7500 0.7250 0.9750
0.7750 0.5250 0.2500
0.9750 0.7500 0.7250
0.0383 0.4435 0.3301
0.0565 0.0948 0.8866
0.0948 0.8866 0.0565
0.1134 0.6699 0.2082
0.1699 0.6134 0.7082
0.2082 0.1134 0.6699
0.2918 0.9617 0.9052
0.3301 0.0383 0.4435
0.3866 0.5948 0.5565
0.4052 0.4617 0.7918
0.4435 0.3301 0.0383
0.4617 0.7918 0.4052
0.5383 0.8301 0.9435
0.5565 0.3866 0.5948
0.5948 0.5565 0.3866
0.6134 0.7082 0.1699
0.6699 0.2082 0.1134
0.7082 0.1699 0.6134
0.7918 0.4052 0.4617
0.8301 0.9435 0.5383
0.8866 0.0565 0.0948
0.9052 0.2918 0.9617
0.9435 0.5383 0.8301
0.9617 0.9052 0.2918
0.0000 0.2757 0.5000
0.0000 0.7757 0.5000
0.2243 0.2243 0.2243
0.2757 0.5000 0.0000
0.5000 0.0000 0.2757
0.5000 0.0000 0.7757
0.7243 0.7243 0.7243
0.7757 0.5000 0.0000
0.0000 0.1106 0.5000
0.0000 0.6106 0.5000
0.0513 0.9183 0.6836
0.0817 0.2653 0.1330
0.1106 0.5000 0.0000
0.1323 0.8670 0.4487
0.1330 0.0817 0.2653
0.1836 0.4183 0.5513
0.2347 0.3164 0.8677
0.2653 0.1330 0.0817
0.3164 0.8677 0.2347
0.3670 0.6323 0.9487
0.3677 0.8164 0.7347
0.3894 0.3894 0.3894
0.4183 0.5513 0.1836
0.4487 0.1323 0.8670
0.5000 0.0000 0.1106
0.5000 0.0000 0.6106
0.5513 0.1836 0.4183
0.5817 0.6330 0.7653
0.6106 0.5000 0.0000
0.6323 0.9487 0.3670
0.6330 0.7653 0.5817
0.6836 0.0513 0.9183
0.7347 0.3677 0.8164
0.7653 0.5817 0.6330
0.8164 0.7347 0.3677
0.8670 0.4487 0.1323
0.8677 0.2347 0.3164
0.8894 0.8894 0.8894
0.9183 0.6836 0.0513
0.9487 0.3670 0.6323
0.1250 0.7500 0.8750
0.2500 0.6250 0.3750
0.3750 0.2500 0.6250
0.6250 0.3750 0.2500
0.7500 0.8750 0.1250
0.8750 0.1250 0.7500
```

Computed properties:
E_tot in eV per formula unit: -257.42
Symmetry: I-43d, No. 220
........

Entry from Alexandria via LeMat-Bulk: a geometry-optimized Li6Ca12Mo4N16O3 structure (PBE with a Hubbard U).

```
Li6Ca12Mo4N16O3
1.0
-6.5639 6.5639 6.5639
6.5639 -6.5639 6.5639
6.5639 6.5639 -6.5639
Li Ca Mo N O
12 24 8 32 6
Direct
0.0250 0.2750 0.7500
0.2250 0.2500 0.4750
0.2500 0.4750 0.2250
0.2500 0.7750 0.5250
0.2750 0.7500 0.0250
0.4750 0.2250 0.2500
0.5250 0.2500 0.7750
0.7250 0.9750 0.7500
0.7500 0.0250 0.2750
0.7500 0.7250 0.9750
0.7750 0.5250 0.2500
0.9750 0.7500 0.7250
0.0383 0.4435 0.3301
0.0565 0.0948 0.8866
0.0948 0.8866 0.0565
0.1134 0.6699 0.2082
0.1699 0.6134 0.7082
0.2082 0.1134 0.6699
0.2918 0.9617 0.9052
0.3301 0.0383 0.4435
0.3866 0.5948 0.5565
0.4052 0.4617 0.7918
0.4435 0.3301 0.0383
0.4617 0.7918 0.4052
0.5383 0.8301 0.9435
0.5565 0.3866 0.5948
0.5948 0.5565 0.3866
0.6134 0.7082 0.1699
0.6699 0.2082 0.1134
0.7082 0.1699 0.6134
0.7918 0.4052 0.4617
0.8301 0.9435 0.5383
0.8866 0.0565 0.0948
0.9052 0.2918 0.9617
0.9435 0.5383 0.8301
0.9617 0.9052 0.2918
0.0000 0.2757 0.5000
0.0000 0.7757 0.5000
0.2243 0.2243 0.2243
0.2757 0.5000 0.0000
0.5000 0.0000 0.2757
0.5000 0.0000 0.7757
0.7243 0.7243 0.7243
0.7757 0.5000 0.0000
0.0000 0.1106 0.5000
0.0000 0.6106 0.5000
0.0513 0.9183 0.6836
0.0817 0.2653 0.1330
0.1106 0.5000 0.0000
0.1323 0.8670 0.4487
0.1330 0.0817 0.2653
0.1836 0.4183 0.5513
0.2347 0.3164 0.8677
0.2653 0.1330 0.0817
0.3164 0.8677 0.2347
0.3670 0.6323 0.9487
0.3677 0.8164 0.7347
0.3894 0.3894 0.3894
0.4183 0.5513 0.1836
0.4487 0.1323 0.8670
0.5000 0.0000 0.1106
0.5000 0.0000 0.6106
0.5513 0.1836 0.4183
0.5817 0.6330 0.7653
0.6106 0.5000 0.0000
0.6323 0.9487 0.3670
0.6330 0.7653 0.5817
0.6836 0.0513 0.9183
0.7347 0.3677 0.8164
0.7653 0.5817 0.6330
0.8164 0.7347 0.3677
0.8670 0.4487 0.1323
0.8677 0.2347 0.3164
0.8894 0.8894 0.8894
0.9183 0.6836 0.0513
0.9487 0.3670 0.6323
0.1250 0.7500 0.8750
0.2500 0.6250 0.3750
0.3750 0.2500 0.6250
0.6250 0.3750 0.2500
0.7500 0.8750 0.1250
0.8750 0.1250 0.7500
```

Computed properties:
E_tot in eV per formula unit: -257.42
Symmetry: I-43d, No. 220